┌──
(1)
The following is a DFT calculation (PBE) of BaH2O3 after structural relaxation.

Results
Offset from the most stable computed form ... 0 meV/atom

Cell lengths 6.245, 4.010, 6.979 Å; angles 90.00, 109.22, 90.00 degrees
Space group P2_1/m (No. 11)
One atom of each set of equivalent atoms:
Ba (0.146, 0.250, 0.293) x2
H (0.266, 0.250, 0.837) x2
H (0.369, 0.750, 0.058) x2
O (0.169, 0.250, 0.694) x2
O (0.213, 0.750, 0.056) x2
O (0.350, 0.750, 0.617) x2


(2)
The following is a DFT calculation (PBE) of BaH16O10 after structural relaxation.

Results
Offset from the most stable computed form ... 0 meV/atom

Cell lengths 9.209, 9.212, 11.365 Å; angles 90.00, 90.02, 90.00 degrees
Space group C2/c (No. 15)
One atom of each set of equivalent atoms:
Ba (0.000, 0.002, 0.250) x4
H (0.059, 0.343, 0.144) x8
H (0.067, 0.339, 0.848) x8
H (0.094, 0.240, 0.962) x8
H (0.156, 0.439, 0.643) x8
H (0.162, 0.436, 0.348) x8
H (0.207, 0.253, 0.128) x8
H (0.241, 0.094, 0.538) x8
H (0.248, 0.292, 0.628) x8
O (0.004, 0.499, 0.816) x8
O (0.099, 0.245, 0.118) x8
O (0.104, 0.240, 0.875) x8
O (0.240, 0.103, 0.625) x8
O (0.245, 0.100, 0.381) x8


(3)
The following is a DFT calculation (PBE) of BaH16O10 after structural relaxation.

Results
Offset from the most stable computed form ... 24 meV/atom

Cell lengths 8.985, 9.146, 11.749 Å; angles 90.00, 93.30, 90.00 degrees
Space group Cc (No. 9)
One atom of each set of equivalent atoms:
Ba (0.000, 0.012, 0.000) x4
H (0.017, 0.244, 0.287) x4
H (0.047, 0.337, 0.400) x4
H (0.058, 0.332, 0.613) x4
H (0.085, 0.215, 0.713) x4
H (0.150, 0.449, 0.901) x4
H (0.168, 0.466, 0.120) x4
H (0.241, 0.219, 0.872) x4
H (0.244, 0.108, 0.219) x4
H (0.252, 0.459, 0.793) x4
H (0.279, 0.248, 0.366) x4
H (0.281, 0.344, 0.169) x4
H (0.313, 0.250, 0.647) x4
H (0.330, 0.072, 0.904) x4
H (0.342, 0.070, 0.115) x4
H (0.426, 0.154, 0.401) x4
H (0.453, 0.156, 0.617) x4
O (0.003, 0.495, 0.576) x4
O (0.075, 0.242, 0.362) x4
O (0.102, 0.231, 0.633) x4
O (0.229, 0.110, 0.874) x4
O (0.244, 0.115, 0.136) x4
O (0.246, 0.413, 0.869) x4
O (0.273, 0.451, 0.157) x4
O (0.389, 0.251, 0.367) x4
O (0.423, 0.255, 0.647) x4
O (0.495, 0.004, 0.949) x4


(4)
The following is a DFT calculation (PBE) of BaH8O5 after structural relaxation.

Cell lengths 7.627, 11.504, 6.020 Å; angles 90.00, 90.00, 90.00 degrees
Space group Pnma (No. 62)
One atom of each set of equivalent atoms:
Ba (0.044, 0.250, 0.079) x4
H (0.034, 0.528, 0.262) x8
H (0.039, 0.681, 0.398) x8
H (0.174, 0.084, 0.518) x8
H (0.196, 0.524, 0.832) x8
O (0.065, 0.082, 0.751) x8
O (0.095, 0.750, 0.477) x4
O (0.233, 0.096, 0.367) x8


Number 1: E_tot -5.05 eV/atom, E_form -8.82 eV/f.u.. Number 2: E_tot -5.06 eV/atom, E_form -37.74 eV/f.u.. Number 3: E_tot -5.03 eV/atom, E_form -37.09 eV/f.u.. Number 4: E_tot -5.17 eV/atom, E_form -21.98 eV/f.u..

----------

1.
VASP calculation (PBE) on a geometry-optimized NaLaSe2O10 structure.

The structure in POSCAR format:
```
NaLaSe2O10
1.0
11.481 0.000 0.000
0.000 7.279 0.000
-4.082 0.000 10.600
Na La Se O
4 4 8 40
direct
0.126 0.144 0.460 Na
0.126 0.356 0.960 Na
0.874 0.644 0.040 Na
0.874 0.856 0.540 Na
0.253 0.616 0.668 La
0.253 0.884 0.168 La
0.747 0.116 0.832 La
0.747 0.384 0.332 La
0.054 0.651 0.362 Se
0.054 0.849 0.862 Se
0.393 0.126 0.721 Se
0.393 0.374 0.221 Se
0.607 0.626 0.779 Se
0.607 0.874 0.279 Se
0.946 0.151 0.138 Se
0.946 0.349 0.638 Se
0.073 0.682 0.970 O
0.073 0.818 0.470 O
0.098 0.106 0.213 O
0.098 0.394 0.713 O
0.113 0.702 0.252 O
0.113 0.798 0.752 O
0.128 0.028 0.950 O
0.128 0.472 0.450 O
0.291 0.037 0.383 O
0.291 0.463 0.883 O
0.309 0.203 0.132 O
0.309 0.297 0.632 O
0.310 0.563 0.160 O
0.310 0.937 0.660 O
0.379 0.683 0.514 O
0.379 0.817 0.014 O
0.411 0.158 0.875 O
0.411 0.342 0.375 O
0.470 0.610 0.796 O
0.470 0.890 0.296 O
0.530 0.110 0.704 O
0.530 0.390 0.204 O
0.589 0.658 0.625 O
0.589 0.842 0.125 O
0.621 0.183 0.986 O
0.621 0.317 0.486 O
0.690 0.063 0.340 O
0.690 0.437 0.840 O
0.691 0.703 0.368 O
0.691 0.797 0.868 O
0.709 0.537 0.117 O
└──

Now give back everything further up without altering anything.

(1)
The following is a DFT calculation (PBE) of BaH2O3 after structural relaxation.

Results
Offset from the most stable computed form ... 0 meV/atom

Cell lengths 6.245, 4.010, 6.979 Å; angles 90.00, 109.22, 90.00 degrees
Space group P2_1/m (No. 11)
One atom of each set of equivalent atoms:
Ba (0.146, 0.250, 0.293) x2
H (0.266, 0.250, 0.837) x2
H (0.369, 0.750, 0.058) x2
O (0.169, 0.250, 0.694) x2
O (0.213, 0.750, 0.056) x2
O (0.350, 0.750, 0.617) x2


(2)
The following is a DFT calculation (PBE) of BaH16O10 after structural relaxation.

Results
Offset from the most stable computed form ... 0 meV/atom

Cell lengths 9.209, 9.212, 11.365 Å; angles 90.00, 90.02, 90.00 degrees
Space group C2/c (No. 15)
One atom of each set of equivalent atoms:
Ba (0.000, 0.002, 0.250) x4
H (0.059, 0.343, 0.144) x8
H (0.067, 0.339, 0.848) x8
H (0.094, 0.240, 0.962) x8
H (0.156, 0.439, 0.643) x8
H (0.162, 0.436, 0.348) x8
H (0.207, 0.253, 0.128) x8
H (0.241, 0.094, 0.538) x8
H (0.248, 0.292, 0.628) x8
O (0.004, 0.499, 0.816) x8
O (0.099, 0.245, 0.118) x8
O (0.104, 0.240, 0.875) x8
O (0.240, 0.103, 0.625) x8
O (0.245, 0.100, 0.381) x8


(3)
The following is a DFT calculation (PBE) of BaH16O10 after structural relaxation.

Results
Offset from the most stable computed form ... 24 meV/atom

Cell lengths 8.985, 9.146, 11.749 Å; angles 90.00, 93.30, 90.00 degrees
Space group Cc (No. 9)
One atom of each set of equivalent atoms:
Ba (0.000, 0.012, 0.000) x4
H (0.017, 0.244, 0.287) x4
H (0.047, 0.337, 0.400) x4
H (0.058, 0.332, 0.613) x4
H (0.085, 0.215, 0.713) x4
H (0.150, 0.449, 0.901) x4
H (0.168, 0.466, 0.120) x4
H (0.241, 0.219, 0.872) x4
H (0.244, 0.108, 0.219) x4
H (0.252, 0.459, 0.793) x4
H (0.279, 0.248, 0.366) x4
H (0.281, 0.344, 0.169) x4
H (0.313, 0.250, 0.647) x4
H (0.330, 0.072, 0.904) x4
H (0.342, 0.070, 0.115) x4
H (0.426, 0.154, 0.401) x4
H (0.453, 0.156, 0.617) x4
O (0.003, 0.495, 0.576) x4
O (0.075, 0.242, 0.362) x4
O (0.102, 0.231, 0.633) x4
O (0.229, 0.110, 0.874) x4
O (0.244, 0.115, 0.136) x4
O (0.246, 0.413, 0.869) x4
O (0.273, 0.451, 0.157) x4
O (0.389, 0.251, 0.367) x4
O (0.423, 0.255, 0.647) x4
O (0.495, 0.004, 0.949) x4


(4)
The following is a DFT calculation (PBE) of BaH8O5 after structural relaxation.

Cell lengths 7.627, 11.504, 6.020 Å; angles 90.00, 90.00, 90.00 degrees
Space group Pnma (No. 62)
One atom of each set of equivalent atoms:
Ba (0.044, 0.250, 0.079) x4
H (0.034, 0.528, 0.262) x8
H (0.039, 0.681, 0.398) x8
H (0.174, 0.084, 0.518) x8
H (0.196, 0.524, 0.832) x8
O (0.065, 0.082, 0.751) x8
O (0.095, 0.750, 0.477) x4
O (0.233, 0.096, 0.367) x8


Number 1: E_tot -5.05 eV/atom, E_form -8.82 eV/f.u.. Number 2: E_tot -5.06 eV/atom, E_form -37.74 eV/f.u.. Number 3: E_tot -5.03 eV/atom, E_form -37.09 eV/f.u.. Number 4: E_tot -5.17 eV/atom, E_form -21.98 eV/f.u..

----------

1.
VASP calculation (PBE) on a geometry-optimized NaLaSe2O10 structure.

The structure in POSCAR format:
```
NaLaSe2O10
1.0
11.481 0.000 0.000
0.000 7.279 0.000
-4.082 0.000 10.600
Na La Se O
4 4 8 40
direct
0.126 0.144 0.460 Na
0.126 0.356 0.960 Na
0.874 0.644 0.040 Na
0.874 0.856 0.540 Na
0.253 0.616 0.668 La
0.253 0.884 0.168 La
0.747 0.116 0.832 La
0.747 0.384 0.332 La
0.054 0.651 0.362 Se
0.054 0.849 0.862 Se
0.393 0.126 0.721 Se
0.393 0.374 0.221 Se
0.607 0.626 0.779 Se
0.607 0.874 0.279 Se
0.946 0.151 0.138 Se
0.946 0.349 0.638 Se
0.073 0.682 0.970 O
0.073 0.818 0.470 O
0.098 0.106 0.213 O
0.098 0.394 0.713 O
0.113 0.702 0.252 O
0.113 0.798 0.752 O
0.128 0.028 0.950 O
0.128 0.472 0.450 O
0.291 0.037 0.383 O
0.291 0.463 0.883 O
0.309 0.203 0.132 O
0.309 0.297 0.632 O
0.310 0.563 0.160 O
0.310 0.937 0.660 O
0.379 0.683 0.514 O
0.379 0.817 0.014 O
0.411 0.158 0.875 O
0.411 0.342 0.375 O
0.470 0.610 0.796 O
0.470 0.890 0.296 O
0.530 0.110 0.704 O
0.530 0.390 0.204 O
0.589 0.658 0.625 O
0.589 0.842 0.125 O
0.621 0.183 0.986 O
0.621 0.317 0.486 O
0.690 0.063 0.340 O
0.690 0.437 0.840 O
0.691 0.703 0.368 O
0.691 0.797 0.868 O
0.709 0.537 0.117 O